-- Listing --
- - -
39
Properties=species:S:1:pos:R:3:forces:R:3:lowdin_charge:R:1 method="wB97M-V/def2-TZVPD" homo_lumo_gap_ev=8.7 homo_energy_ev=-8.18 total_charge=0 spin_multiplicity=1 e_above_lowest_ev=0.534
C 2.8126 1.5756 2.0807 0.1 0.0 0.0 -0.05
C 2.1513 1.1868 0.7954 0.0 0.0 -0.2 -0.28
C 2.4980 0.0096 0.1416 0.0 0.1 0.0 -0.06
C 1.9394 -0.2987 -1.0846 0.0 0.0 0.0 -0.07
C 1.0284 0.5529 -1.6832 0.0 0.1 -0.1 -0.04
C 0.6462 1.7184 -1.0248 0.3 -0.4 0.2 -0.23
N -0.2246 2.6551 -1.5826 -0.2 0.1 0.1 0.07
C -1.1007 2.5583 -2.6067 0.1 0.3 0.0 -0.89
S -1.5785 3.9005 -3.4318 -0.2 0.3 -0.2 0.64
N -1.5752 1.3310 -3.0101 -0.3 -0.4 0.1 0.00
N -1.8415 0.3123 -2.0983 0.3 0.0 -0.6 0.07
C -2.5727 0.4890 -0.9719 0.0 -0.3 0.3 -0.45
O -3.0215 1.5451 -0.6024 -0.2 0.1 0.1 0.10
C -2.8060 -0.8429 -0.2476 -0.3 0.2 0.1 -0.08
O -1.6650 -1.6708 -0.2367 0.1 -0.1 0.0 -0.08
C -0.7645 -1.5296 0.7758 0.2 -0.1 0.1 -0.29
C -0.7564 -0.5016 1.7092 -0.2 -0.1 -0.2 0.00
C 0.1631 -0.4977 2.7444 0.1 -0.2 0.1 -0.10
C 1.0930 -1.5167 2.8437 -0.3 0.0 -0.2 -0.68
Cl 2.2234 -1.5329 4.1470 0.2 0.0 0.2 0.70
C 1.1373 -2.5299 1.8975 -0.2 0.1 0.0 -0.13
C 0.2139 -2.5274 0.8717 -0.2 0.2 0.1 -0.60
Cl 0.2490 -3.7674 -0.3200 0.1 -0.2 -0.1 0.74
C 1.2160 2.0233 0.2094 -0.1 -0.1 -0.2 0.01
H 2.1567 2.1959 2.6862 0.0 0.0 0.1 0.08
H 3.1031 0.6985 2.6519 0.0 0.0 0.1 0.04
H 3.7146 2.1502 1.8672 0.1 0.0 0.1 0.09
H 3.2231 -0.6545 0.5862 0.1 -0.1 0.1 0.12
H 2.2327 -1.2030 -1.5963 0.0 -0.1 -0.1 0.11
H 0.6635 0.3421 -2.6757 0.0 0.0 -0.1 0.11
H -0.1034 3.6057 -1.2562 -0.1 -0.2 -0.2 0.13
H -2.2957 1.4446 -3.7216 0.2 0.0 0.3 0.12
H -1.4121 -0.5884 -2.2758 0.0 0.3 0.1 0.15
H -3.5649 -1.3961 -0.8124 0.1 0.1 0.1 0.15
H -3.1915 -0.6524 0.7581 0.1 0.1 -0.1 0.14
H -1.4605 0.3116 1.6361 -0.1 0.1 0.0 0.12
H 0.1499 0.2971 3.4717 0.0 0.1 0.1 0.11
H 1.8740 -3.3141 1.9603 0.1 -0.1 0.0 0.11
H 0.9336 2.9420 0.7041 -0.1 0.1 0.1 0.12

119
Properties=species:S:1:pos:R:3:forces:R:3:lowdin_charge:R:1 method="wB97M-V/def2-TZVPD" homo_lumo_gap_ev=7.7 homo_energy_ev=-8.86 total_charge=0 spin_multiplicity=1 e_above_lowest_ev=6.030
C 4.2127 -1.9574 -0.3383 -0.5 0.0 0.4 -0.05
C 3.9935 -0.3076 -0.1770 4.9 2.2 -0.3 -0.29
O 5.1315 0.4228 -0.2445 -6.9 -3.9 0.6 -0.08
N 2.6187 0.2732 0.0711 2.0 -0.6 -0.4 -0.04
C 1.9981 0.8180 -1.2323 0.4 -0.1 0.2 -0.18
C 1.5967 -0.5001 -2.1201 0.7 0.5 -0.5 -0.18
C 0.4990 -0.2356 -3.3076 0.2 -0.7 -0.3 -0.21
C -0.6800 0.8428 -2.9419 0.4 -0.4 0.0 -0.15
C -1.5618 0.2293 -1.6779 -1.5 -2.9 -0.5 -0.05
C -2.1897 -1.1319 -1.8489 1.0 4.0 2.1 0.06
C -3.0330 -1.7539 -0.5826 -1.2 -4.5 -0.6 -0.22
O -3.4591 -3.0300 -0.6779 2.4 7.2 0.7 -0.08
C -3.3451 -0.9113 0.7922 2.0 3.6 -0.6 0.02
C -2.7375 0.4359 0.9789 -1.0 -3.3 -2.1 0.02
C -1.7746 1.0504 -0.2397 1.3 4.1 1.6 -0.16
O -1.2268 2.2575 0.0153 -3.0 -7.2 -1.9 -0.07
H 5.3264 -2.2525 -0.5452 -2.1 1.1 0.4 0.08
H 3.9081 -2.4939 0.6810 0.4 1.3 -2.2 0.09
H 3.5663 -2.4091 -1.2073 1.0 1.0 1.8 0.07
H 2.6537 1.0217 0.8027 0.5 -0.7 -1.2 0.11
H 2.8232 1.5070 -1.7158 -2.0 -1.4 0.5 0.12
H 1.0994 1.4860 -0.8930 1.6 -1.4 -0.9 0.11
H 2.5993 -0.8480 -2.6667 -2.1 0.6 1.2 0.11
H 1.2618 -1.3529 -1.3826 0.5 1.8 -1.4 0.12
H 1.0713 0.0847 -4.2979 -1.3 -0.4 2.2 0.12
H 0.0183 -1.2975 -3.5632 1.0 2.3 0.5 0.10
H -1.3427 0.9647 -3.9256 1.1 -0.3 2.5 0.10
H -0.1735 1.8828 -2.6940 -1.2 -2.2 -0.3 0.10
H -2.0782 -1.7155 -2.8715 -0.4 1.2 2.6 0.14
H -4.0463 -1.3545 1.6185 1.7 0.6 -1.8 0.10
H -2.9211 1.0951 1.9418 0.7 -1.6 -2.3 0.11
N 0.0423 0.6534 4.0254 1.0 1.2 -0.5 0.16
C -1.1068 -0.0086 4.2510 -0.5 -0.2 0.0 -0.70
N -0.9606 -1.1748 4.9054 -0.3 -1.0 0.7 0.16
O -2.1940 0.4145 3.8910 -0.2 0.3 0.1 0.00
H 0.9470 0.3211 4.3140 -0.2 0.1 -0.1 0.10
H -0.0232 1.5360 3.5353 0.1 -0.4 0.1 0.09
H -1.8012 -1.7047 5.0955 0.1 0.0 -0.3 0.09
H -0.0739 -1.5398 5.2099 -0.2 0.1 -0.1 0.10
N -4.3366 -4.6590 4.7181 -0.4 -0.2 1.4 0.16
C -3.8166 -3.9433 3.7046 0.0 -0.2 -0.2 -0.71
N -3.6614 -4.6295 2.5581 0.4 -0.1 -1.1 0.18
O -3.5104 -2.7667 3.8163 0.2 0.7 0.2 0.00
H -4.5949 -5.6286 4.6453 0.0 -0.1 -0.2 0.07
- - -

-- What to do --
Your job: start at the top of the calculation results earlier on and give back each line, ending with the one that has "4.3140 -0.2".

-- Worked solution --
39
Properties=species:S:1:pos:R:3:forces:R:3:lowdin_charge:R:1 method="wB97M-V/def2-TZVPD" homo_lumo_gap_ev=8.7 homo_energy_ev=-8.18 total_charge=0 spin_multiplicity=1 e_above_lowest_ev=0.534
C 2.8126 1.5756 2.0807 0.1 0.0 0.0 -0.05
C 2.1513 1.1868 0.7954 0.0 0.0 -0.2 -0.28
C 2.4980 0.0096 0.1416 0.0 0.1 0.0 -0.06
C 1.9394 -0.2987 -1.0846 0.0 0.0 0.0 -0.07
C 1.0284 0.5529 -1.6832 0.0 0.1 -0.1 -0.04
C 0.6462 1.7184 -1.0248 0.3 -0.4 0.2 -0.23
N -0.2246 2.6551 -1.5826 -0.2 0.1 0.1 0.07
C -1.1007 2.5583 -2.6067 0.1 0.3 0.0 -0.89
S -1.5785 3.9005 -3.4318 -0.2 0.3 -0.2 0.64
N -1.5752 1.3310 -3.0101 -0.3 -0.4 0.1 0.00
N -1.8415 0.3123 -2.0983 0.3 0.0 -0.6 0.07
C -2.5727 0.4890 -0.9719 0.0 -0.3 0.3 -0.45
O -3.0215 1.5451 -0.6024 -0.2 0.1 0.1 0.10
C -2.8060 -0.8429 -0.2476 -0.3 0.2 0.1 -0.08
O -1.6650 -1.6708 -0.2367 0.1 -0.1 0.0 -0.08
C -0.7645 -1.5296 0.7758 0.2 -0.1 0.1 -0.29
C -0.7564 -0.5016 1.7092 -0.2 -0.1 -0.2 0.00
C 0.1631 -0.4977 2.7444 0.1 -0.2 0.1 -0.10
C 1.0930 -1.5167 2.8437 -0.3 0.0 -0.2 -0.68
Cl 2.2234 -1.5329 4.1470 0.2 0.0 0.2 0.70
C 1.1373 -2.5299 1.8975 -0.2 0.1 0.0 -0.13
C 0.2139 -2.5274 0.8717 -0.2 0.2 0.1 -0.60
Cl 0.2490 -3.7674 -0.3200 0.1 -0.2 -0.1 0.74
C 1.2160 2.0233 0.2094 -0.1 -0.1 -0.2 0.01
H 2.1567 2.1959 2.6862 0.0 0.0 0.1 0.08
H 3.1031 0.6985 2.6519 0.0 0.0 0.1 0.04
H 3.7146 2.1502 1.8672 0.1 0.0 0.1 0.09
H 3.2231 -0.6545 0.5862 0.1 -0.1 0.1 0.12
H 2.2327 -1.2030 -1.5963 0.0 -0.1 -0.1 0.11
H 0.6635 0.3421 -2.6757 0.0 0.0 -0.1 0.11
H -0.1034 3.6057 -1.2562 -0.1 -0.2 -0.2 0.13
H -2.2957 1.4446 -3.7216 0.2 0.0 0.3 0.12
H -1.4121 -0.5884 -2.2758 0.0 0.3 0.1 0.15
H -3.5649 -1.3961 -0.8124 0.1 0.1 0.1 0.15
H -3.1915 -0.6524 0.7581 0.1 0.1 -0.1 0.14
H -1.4605 0.3116 1.6361 -0.1 0.1 0.0 0.12
H 0.1499 0.2971 3.4717 0.0 0.1 0.1 0.11
H 1.8740 -3.3141 1.9603 0.1 -0.1 0.0 0.11
H 0.9336 2.9420 0.7041 -0.1 0.1 0.1 0.12

119
Properties=species:S:1:pos:R:3:forces:R:3:lowdin_charge:R:1 method="wB97M-V/def2-TZVPD" homo_lumo_gap_ev=7.7 homo_energy_ev=-8.86 total_charge=0 spin_multiplicity=1 e_above_lowest_ev=6.030
C 4.2127 -1.9574 -0.3383 -0.5 0.0 0.4 -0.05
C 3.9935 -0.3076 -0.1770 4.9 2.2 -0.3 -0.29
O 5.1315 0.4228 -0.2445 -6.9 -3.9 0.6 -0.08
N 2.6187 0.2732 0.0711 2.0 -0.6 -0.4 -0.04
C 1.9981 0.8180 -1.2323 0.4 -0.1 0.2 -0.18
C 1.5967 -0.5001 -2.1201 0.7 0.5 -0.5 -0.18
C 0.4990 -0.2356 -3.3076 0.2 -0.7 -0.3 -0.21
C -0.6800 0.8428 -2.9419 0.4 -0.4 0.0 -0.15
C -1.5618 0.2293 -1.6779 -1.5 -2.9 -0.5 -0.05
C -2.1897 -1.1319 -1.8489 1.0 4.0 2.1 0.06
C -3.0330 -1.7539 -0.5826 -1.2 -4.5 -0.6 -0.22
O -3.4591 -3.0300 -0.6779 2.4 7.2 0.7 -0.08
C -3.3451 -0.9113 0.7922 2.0 3.6 -0.6 0.02
C -2.7375 0.4359 0.9789 -1.0 -3.3 -2.1 0.02
C -1.7746 1.0504 -0.2397 1.3 4.1 1.6 -0.16
O -1.2268 2.2575 0.0153 -3.0 -7.2 -1.9 -0.07
H 5.3264 -2.2525 -0.5452 -2.1 1.1 0.4 0.08
H 3.9081 -2.4939 0.6810 0.4 1.3 -2.2 0.09
H 3.5663 -2.4091 -1.2073 1.0 1.0 1.8 0.07
H 2.6537 1.0217 0.8027 0.5 -0.7 -1.2 0.11
H 2.8232 1.5070 -1.7158 -2.0 -1.4 0.5 0.12
H 1.0994 1.4860 -0.8930 1.6 -1.4 -0.9 0.11
H 2.5993 -0.8480 -2.6667 -2.1 0.6 1.2 0.11
H 1.2618 -1.3529 -1.3826 0.5 1.8 -1.4 0.12
H 1.0713 0.0847 -4.2979 -1.3 -0.4 2.2 0.12
H 0.0183 -1.2975 -3.5632 1.0 2.3 0.5 0.10
H -1.3427 0.9647 -3.9256 1.1 -0.3 2.5 0.10
H -0.1735 1.8828 -2.6940 -1.2 -2.2 -0.3 0.10
H -2.0782 -1.7155 -2.8715 -0.4 1.2 2.6 0.14
H -4.0463 -1.3545 1.6185 1.7 0.6 -1.8 0.10
H -2.9211 1.0951 1.9418 0.7 -1.6 -2.3 0.11
N 0.0423 0.6534 4.0254 1.0 1.2 -0.5 0.16
C -1.1068 -0.0086 4.2510 -0.5 -0.2 0.0 -0.70
N -0.9606 -1.1748 4.9054 -0.3 -1.0 0.7 0.16
O -2.1940 0.4145 3.8910 -0.2 0.3 0.1 0.00
H 0.9470 0.3211 4.3140 -0.2 0.1 -0.1 0.10